Redirect the Chaos

How to Survive a Chaotic Political Climate AND Strengthen Democracy

If there’s one thing I have felt lately, it’s overwhelmed. Between 24/7 news cycles, political trolling, and the constant drumbeat of division, it’s easy to feel like democracy is crumbling and there’s nothing I can do about it. Oh, sweet, elusive sleep…

**Next to the page, the page also holds calculated molecules:**
........
Record 1
The following is a quantum chemistry calculation of one molecule with the formula C4H7NO2, from the Open Molecules 2025 dataset.

Max |F|, eV/Å: 0.6
Lowest unoccupied orbital energy, eV: 0.957
HOMO level, eV: -9.83
Net charge: 0
Structure (SMILES): C/C(=N\O)[C@H]1CO1
Total energy, Eh: -361.74304

The geometry in XYZ format:
```
14
C4H7NO2 (wB97M-V/def2-TZVPD)
C -1.352 -1.196 -0.170
C -0.384 -0.050 -0.092
N -0.562 1.085 0.468
O -1.787 1.259 1.070
C 0.964 -0.075 -0.752
C 2.053 0.456 0.054
O 1.973 -0.936 -0.243
H -2.238 -0.910 -0.747
H -0.884 -2.062 -0.647
H -1.700 -1.497 0.825
H -1.707 2.177 1.368
H 0.964 0.018 -1.841
H 2.868 1.033 -0.374
H 1.791 0.698 1.081
```


Record 2
The following is a quantum chemistry calculation of one molecule with the formula C4H7NO2, from the Open Molecules 2025 dataset.

Max |F|, eV/Å: 0.4
Lowest unoccupied orbital energy, eV: 0.519
HOMO level, eV: -7.63
Net charge: 0
Total energy, Eh: -361.67836

The geometry in XYZ format:
```
14
C4H7NO2 (wB97M-V/def2-TZVPD)
O -1.102 0.363 0.845
C -1.286 -0.026 -0.757
C -0.021 1.326 0.871
O 1.213 0.711 0.957
C 1.711 -0.029 -0.118
N 1.142 -0.792 -0.929
C -0.282 -1.127 -0.944
H -0.864 -0.394 1.419
H -2.286 -0.479 -0.693
H -0.174 1.854 -0.071
H -0.142 1.944 1.761
H 2.794 0.088 -0.124
H -0.510 -1.507 -1.948
H -0.361 -2.011 -0.273
```


Record 3
The following is a quantum chemistry calculation of one molecule with the formula C4H7NO2, from the Open Molecules 2025 dataset.

Max |F|, eV/Å: 0.6
Lowest unoccupied orbital energy, eV: 0.621
HOMO level, eV: -10.03
Net charge: 0
Structure (SMILES): C[C@@H](C=O)C(N)=O
Total energy, Eh: -361.86236

The geometry in XYZ format:
```
14
C4H7NO2 (wB97M-V/def2-TZVPD)
C -1.176 0.124 1.286
C -0.103 0.392 0.242
C 1.302 0.286 0.824
O 1.545 -0.085 1.943
C -0.155 -0.589 -0.941
N 0.531 -0.172 -2.045
O -0.697 -1.674 -0.877
H -1.284 -0.950 1.448
H -0.896 0.589 2.235
H -2.141 0.523 0.962
H -0.190 1.411 -0.165
H 2.120 0.578 0.131
H 0.890 0.764 -2.145
H 0.556 -0.782 -2.848
```


Question: The highest total energy belongs to which entry?
Answer: number 2


Repeat the first record exactly.
The following is a quantum chemistry calculation of one molecule with the formula C4H7NO2, from the Open Molecules 2025 dataset.

Max |F|, eV/Å: 0.6
Lowest unoccupied orbital energy, eV: 0.957
HOMO level, eV: -9.83
Net charge: 0
Structure (SMILES): C/C(=N\O)[C@H]1CO1
Total energy, Eh: -361.74304

The geometry in XYZ format:
```
14
C4H7NO2 (wB97M-V/def2-TZVPD)
C -1.352 -1.196 -0.170
C -0.384 -0.050 -0.092
N -0.562 1.085 0.468
O -1.787 1.259 1.070
C 0.964 -0.075 -0.752
C 2.053 0.456 0.054
O 1.973 -0.936 -0.243
H -2.238 -0.910 -0.747
H -0.884 -2.062 -0.647
H -1.700 -1.497 0.825
H -1.707 2.177 1.368
H 0.964 0.018 -1.841
H 2.868 1.033 -0.374
H 1.791 0.698 1.081
```


Question: What is the net charge in the second record?
Answer: 0

* * * * *

Run a
Computed, not measured: C6H10O in the gas phase, with ωB97M-V/def2-TZVPD.

Atoms and positions in Å:
O1 2.445 -0.609 1.191
........

But then I remember that I don’t have to fix everything. Because of my background and academic research, I know that the most powerful impact I can make is in my own backyard. So, let’s talk about how to block out the noise and refocus on local government.

• Unrelated to this text: data records:
-- begin --
Entry 1:
ORCA calculation (ωB97M-V/def2-TZVPD) on 11 unconnected molecules or ions with the total composition C30H88N11O19 at a distorted geometry.

Computed properties:
Frontier orbital gap: 3.57 eV
Net charge: +3
Calculated total energy: -87778.19081 eV

XYZ file:
```
148
C30H88N11O19, DFT ωB97M-V/def2-TZVPD
C 4.738 -8.163 8.219
N 4.469 -8.549 9.673
C 5.182 -7.438 10.497
C 2.934 -8.550 9.909
C 5.102 -9.889 10.220
C 4.328 -11.120 9.775
O 4.526 -11.327 8.373
H 4.126 -8.852 7.637
H 5.807 -8.359 8.138
H 4.376 -7.149 8.051
H 4.841 -6.506 10.046
H 6.262 -7.449 10.348
H 4.931 -7.466 11.558
H 2.426 -9.242 9.238
H 2.541 -7.539 9.800
H 2.797 -8.851 10.947
H 5.021 -9.709 11.292
H 6.175 -9.846 10.038
H 3.286 -11.197 10.085
H 4.782 -11.995 10.240
H 4.082 -12.133 8.100
C 2.349 -1.178 4.522
N 3.323 -0.125 3.948
C 2.863 0.243 2.523
C 3.200 1.127 4.860
C 4.824 -0.517 4.053
C 5.061 -1.930 3.462
O 4.569 -3.055 4.157
H 2.798 -1.874 5.230
H 2.199 -1.823 3.656
H 1.362 -0.770 4.740
H 3.506 1.025 2.119
H 1.827 0.581 2.523
H 2.985 -0.662 1.927
H 3.449 0.703 5.832
H 2.276 1.702 4.807
H 4.040 1.807 4.714
H 4.998 -0.630 5.123
H 5.569 0.180 3.669
H 6.138 -2.099 3.433
H 4.797 -2.088 2.417
H 4.914 -3.851 3.745
C 6.407 5.220 17.328
C 7.134 4.336 16.227
C 8.106 5.119 15.245
O 8.998 4.142 14.620
C 9.856 4.569 13.642
N 7.958 3.410 17.104
H 8.425 3.865 17.875
H 7.325 2.769 17.561
H 8.659 2.894 16.592
H 5.702 4.689 17.968
H 5.888 6.032 16.818
H 7.057 5.720 18.047
H 6.584 3.629 15.606
H 8.580 5.904 15.834
H 7.490 5.727 14.582
H 9.317 5.220 12.953
H 10.177 3.746 13.003
H 10.765 5.054 13.998
C 14.802 2.071 6.404
C 15.577 3.258 5.784
C 16.677 3.868 6.618
O 17.420 4.739 5.809
C 18.427 5.359 6.625
N 16.083 2.842 4.328
H 17.086 2.835 4.446
H 15.844 1.888 4.096
H 15.796 3.481 3.602
H 15.517 1.284 6.643
H 14.152 1.626 5.651
H 14.101 2.249 7.219
H 14.849 4.012 5.486
H 17.299 2.993 6.803
H 16.337 4.370 7.523
H 18.034 6.199 7.199
H 19.054 5.821 5.863
H 19.055 4.738 7.265
C 7.760 -0.697 11.911
C 8.373 -0.336 10.532
C 8.740 -1.581 9.658
O 9.385 -0.971 8.524
C 9.534 -1.824 7.411
N 7.367 0.604 9.797
H 7.144 1.470 10.268
H 7.716 0.698 8.854
H 6.475 0.131 9.831
H 7.418 0.153 12.502
H 8.470 -1.319 12.456
H 6.871 -1.294 11.710
H 9.216 0.320 10.747
H 7.864 -2.141 9.331
H 9.368 -2.344 10.119
H 8.747 -2.569 7.299
H 10.499 -2.330 7.436
H 9.704 -1.175 6.552
C 3.008 -4.604 17.563
C 4.495 -5.047 17.942
C 5.576 -4.589 16.874
O 6.822 -5.110 17.326
C 7.855 -5.262 16.308
N 4.779 -4.467 19.301
H 4.152 -4.824 20.008
H 5.763 -4.599 19.487
H 4.704 -3.461 19.263
H 2.837 -3.531 17.487
H 2.233 -5.031 18.200
H 2.858 -4.889 16.521
H 4.492 -6.131 18.055
H 5.649 -3.502 16.854
H 5.316 -4.930 15.872
H 7.590 -5.911 15.473
H 8.732 -5.608 16.855
H 8.156 -4.283 15.936
C 21.056 -5.208 6.392
C 19.951 -5.309 5.345
C 18.559 -5.206 5.829
O 17.543 -5.445 4.889
C 16.131 -5.303 5.354
N 20.143 -4.324 4.207
H 19.289 -3.867 3.920
H 20.801 -3.566 4.320
H 20.495 -4.825 3.405
H 20.960 -4.336 7.038
H 22.012 -5.047 5.893
H 21.161 -6.075 7.044
-- stop --

Why Ignore the Noise?

The chaos we see online and in the news isn’t accidental. It’s a play. It’s carefully designed to do one thing: distract, divide, and exhaust. It’s slight of hand. We won’t see what is really happening if we’re up in arms about the latest cruelty. (They’re eating the cats, they’re eating the dogs).

This kind of noise feeds on outrage and pulls our attention away from where we actually have influence. The more we focus on the noise, the less energy we have for the meaningful work that needs doing.

The Power of Local Government

National politics sucks all the air out of the room. Three times more people vote in presidential elections that they do in local and state. Voting is important, and so is paying attention, but average citizens have to work very hard, and use a lot of resources to influence their congressional representatives. And that’s in normal times. These are not normal times.

I am not advocating to tune out and disengage, but I am urging my fellow Americans to redirect their focus and energy on the foundation of democracy, which is quite literally, the power of the people. American institutions are going to be tested, challenged, and I truly believe altered. Certainly at the federal level, and to some extent, the state level. But it will take some time for the ripple effect to hit our local municipalities. So, we need need to be ready. By focusing on local government, understanding what it does and how it works, we can strengthen democracy from the ground up.

How to Redirect Your Energy

So, how do we shift our focus away from the noise to the issues that matter locally? Here’s a step-by-step guide:

  1. Tune Out the Trolling:
    Start by curating your information sources. Unfollow accounts or news outlets that thrive on outrage. Mute the trolls. Instead, follow local news organizations, nonprofits, and community leaders.

  1. Notice What Needs Fixing:
    Take a walk around your neighborhood. Are there sidewalks that need repairs? A lack of green spaces? Notice what’s working and what’s not. This is your starting point.

  1. Learn Who’s in Charge:
    Familiarize yourself with your local government. Who’s your city council member? What does your county commissioner do? Who handles public works or zoning in your area? These are the people who make decisions that affect your daily life.

  1. Take Small Steps:
    You don’t have to run for office to make a difference. Start small. Write a letter to your city council about an issue you care about. Attend a public meeting. Even sharing local resources on social media helps raise awareness.

  1. Connect with Your Community:
    Democracy isn’t a solo sport. Talk to your neighbors. Join local advocacy groups. When people come together, change happens faster, and it’s a lot more fun.

Local Wins Add Up

There’s magic in focusing on local government. When you help get a new park built, advocate for better school funding, or push for safer roads, you’re not just improving your community and building social capital, you’re strengthening democracy itself. Every time you take a step up that Civic Empowerment Pyramid (you knew I’d mention it), you’re making it easier for others to join in. You’re building a coalition. Your action inspires others far beyond your immediate surroundings. We are stronger together.

Let’s Get to Work

The next time the chaos of the news cycle starts to suck you in and wear you down, remember this: you don’t have to succumb. Focus your energy where it counts, in your own community.

It may just be the last line of defense.


Think Global, Act Local


Your Guide to the Civic Empowerment Pyramid